have we discussed irritablity?


Senior Member
Sofa, UK
Seems remarkable, but I don't remember a specific thread on irritability. It's certainly been a cardinal symptom for me, and one that I use as a marker to alert me when things are getting worse; for me it marks the boundary of a vortex (or vicious circle) which is incredibly difficult to get out of, and the first thing to realise is to identify that it is being driven by a physical cause - in my case, primarily, disturbed, unrefreshing or ineffective sleep, as well as other stress triggers (environment, food etc). I think it's important to identify the irritability as a biochemical consequence, and during better times, try to explain this in an apologetic way to your most promising allies.

These records of crystals were left in the entry by mistake:
<<<
# PrTmPu2Sb4
Simulated powder diffractogram, Cu Kα (weighted mean of Kα1 and Kα2). Input: a DFT-relaxed cell (PBE, Alexandria).
Kinematic intensities with the Lorentz-polarization factor, no thermal factor.

Principal peaks in the range 2θ from 10° to 90°, low angle first:
(hkl), 2theta, I/Imax
0 0 2, 24.57, 100
1 1 1, 28.44, 1000
0 2 0, 40.61, 386
3 1 -1, 40.71, 384
2 2 -2, 50.33, 208
4 0 0, 50.50, 69
2 2 2, 58.86, 130
1 3 1, 66.57, 179
4 2 0, 66.72, 178
3 3 -1, 73.93, 155

Structure:
```
data_PrTmPu2Sb4
_cell_length_a 7.671
_cell_length_b 4.445
_cell_length_c 7.693
_cell_angle_alpha 90.00
_cell_angle_beta 109.54
_cell_angle_gamma 90.00
_space_group_name_H-M_alt 'P 1 2/m 1'
_space_group_IT_number 10
loop_
_space_group_symop_operation_xyz
'x,y,z'
'-x,-y,-z'
'-x,y,-z'
'x,-y,z'
loop_
_atom_site_label
_atom_site_fract_x
_atom_site_fract_y
_atom_site_fract_z
Pr1 0.000 0.000 0.000
Tm1 0.000 0.500 0.500
Pu1 0.500 0.000 0.500
Pu2 0.500 0.500 0.000
Sb1 0.251 0.000 0.743
Sb2 0.256 0.500 0.259
```


# Sm8Tl2Hg3
Simulated powder diffractogram, Cu Kα (weighted mean of Kα1 and Kα2). Input: a DFT-relaxed cell (PBE, Alexandria).
Kinematic intensities with the Lorentz-polarization factor, no thermal factor.

Principal peaks in the range 2θ from 10° to 90°, low angle first:
(hkl), 2theta, I/Imax
2 2 0, 22.70, 195
3 1 0, 30.49, 265
0 0 2, 31.95, 529
1 5 1, 33.42, 651
2 4 1, 33.84, 1000
3 3 1, 38.01, 147
3 1 2, 44.75, 188
2 4 3, 58.16, 213
5 5 1, 61.44, 217
3 9 2, 69.51, 165

Structure:
```
data_Sm8Tl2Hg3
_cell_length_a 8.944
_cell_length_b 16.247
_cell_length_c 5.602
_cell_angle_alpha 90.00
_cell_angle_beta 90.00
_cell_angle_gamma 90.00
_space_group_name_H-M_alt 'C m m m'
_space_group_IT_number 65
_space_group_name_Hall '-C 2 2'
loop_
_atom_site_label
_atom_site_fract_x
_atom_site_fract_y
_atom_site_fract_z
Sm1 0.000 0.105 0.000
Sm2 0.000 0.321 0.000
Sm3 0.215 0.387 0.500
Tl1 0.000 0.227 0.500
Hg1 0.000 0.000 0.500
Hg2 0.177 0.500 0.000
```


# LiTm12Co6
Simulated powder diffractogram, Cu Kα (weighted mean of Kα1 and Kα2). Input: a DFT-relaxed cell (PBE, Alexandria).
Kinematic intensities with the Lorentz-polarization factor, no thermal factor.

Principal peaks in the range 2θ from 10° to 90°, low angle first:
(hkl), 2theta, I/Imax
2 2 0, 26.41, 180
3 0 1, 29.59, 503
2 2 2, 32.49, 506
3 1 2, 35.18, 1000
4 0 0, 37.69, 183
5 0 1, 48.64, 226
5 3 0, 56.19, 406
5 2 3, 59.71, 392
5 3 4, 69.65, 192
7 0 5, 88.01, 205

Structure:
```
data_LiTm12Co6
_cell_length_a 9.546
_cell_length_b 9.546
_cell_length_c 9.546
_cell_angle_alpha 90.00
_cell_angle_beta 90.00
_cell_angle_gamma 90.00
_space_group_name_H-M_alt 'I m -3'
_space_group_IT_number 204
_space_group_name_Hall '-I 2 2 3'
loop_
_atom_site_label
_atom_site_fract_x
_atom_site_fract_y
_atom_site_fract_z
Li1 0.000 0.000 0.000
Tm1 0.000 0.305 0.195
Co1 0.000 0.114 0.500
```


# Tb2AlGa8
Simulated powder diffractogram, Cu Kα (weighted mean of Kα1 and Kα2). Input: a DFT-relaxed cell (PBE, Alexandria).
>>>
End of the records of crystals:

Irritability is inevitably something that drives people away from us. So we are all aware of it and sympathetic to that here. It's quite a timely topic actually...;)


Senior Member
Logan, Queensland, Australia
Hi everyone,

My best guess is that the irritability is neurological, but this in turn is caused by a complex mix of other factors, from nutritional and energy production to hormonal and immunological. I always have mild irritability, but sometimes it flares up to something serious, so I have some understnding of those who experience it all the time. Flax seed and fish oil have sometimes helped me with this symptom in the past, but it isn't all that reliable a treatment.



Senior Member
Logan, Queensland, Australia

My irritability is always worse when I am tired or have had little sleep for several days. I think we need to distinguish between irritability from sounds, sight, smells etc (sensory) and genuine anger.

I found I have a very deep seated rage (not just anger) that comes out when I am so exhausted that my rational mind is totally on hold, but even then it requires that someone is hurling blatent or subtle psychological abuse at me. At about this time I am too exhausted to even stand up, or I might get violent, and that worries me. I think this is psychological due to decades of abuse and misunderstanding, something that most long term patients have experienced many many times.



Senior Member
marin co, ca
i really appreciate the honesty expressed here, it helps me to know i am not alone with this disturbing symptom. it is almost more disturbing than the terrible energy problems because it does separate me from other humans and wanting to engage in life. it makes it so much easier to just hole up in my room.

it does feel neurological to me too. something about the way noise effects me seems like a neuro problem. a friend of mine getting off antidepressants complained similarly of complete meltdowns in the supermarket line where she felt she could not take being there one more second. brain chemicals going haywire.

we also may just have a form of ptsd from enduring these symptoms.

an benadryl does take the edge off.

Misfit Toy

Senior Member
I can't believe I didn't respond to this sooner. ALL THE TIME. I have to check my feelings and thoughts because they are usually skewed. I am so irritable and everything that I used to tolerate I can't anymore. I wrote about how people bother me. If people don't say the right thing, it can ruin my day. Things that never bothered me. The fact that I tried to take a shirt back to a store today and I didn't have the receipt and I thought I did and I felt nuts. I lose things all the time, forget things, can't find checks, can't find bills. I get so irritated that I throw things because I am so frustrated that my brain feels like it is short circuiting. I am seriously better off alone. I wouldn't want to be in a relationship with me right now.


Sometimes I get so irritable that I swear when the phone rings.

Yesterday I was snarling "Why can't everyone just f off and leave me alone!" while I pressed the OK button, and I was greeted by my mother saying "I'll f off right away if you want me to!"


Patient in training
Sometimes I get so irritable that I swear when the phone rings.

Yesterday I was snarling "Why can't everyone just f off and leave me alone!" while I pressed the OK button, and I was greeted by my mother saying "I'll f off right away if you want me to!"

Athene lol thanks for the laugh!!! :tear::D:tear::D:tear: